Material:
'''
Entry 1:
This record from OMol25 describes a 3-piece molecular cluster, H6O3 overall. The level of theory is ωB97M-V/def2-TZVPD.

Results
Energy above the lowest of the compared OMol25 structures with the same formula, charge and spin ... 53.7 kJ/mol
LUMO energy ... 0.0260 Eh
Largest force on an atom ... 0.007 hartree/bohr
Highest occupied orbital energy ... -11.3 eV
Energy ... -229.30464 a.u.
Gap between HOMO and LUMO ... 0.4400 Eh

```
9
Properties=species:S:1:pos:R:3:forces:R:3
O 1.461169 -3.807705 24.948670 0.10 -0.26 -0.08
H 0.959659 -3.595577 25.735889 -0.14 0.03 0.28
H 1.451384 -3.001172 24.433284 0.04 0.18 -0.16
O -1.347144 -2.606131 28.633118 0.21 -0.01 -0.15
H -1.522942 -2.641702 29.573371 0.02 -0.02 0.25
H -2.211042 -2.517057 28.230656 -0.21 0.02 -0.13
O 2.818804 -7.863847 25.252923 0.19 -0.13 0.10
H 2.111728 -8.405863 24.902937 -0.15 -0.16 -0.08
H 2.521780 -6.964242 25.116148 -0.05 0.34 -0.03
```
Forces are in eV/Å.

Entry 2:
This record from OMol25 describes C30H45ClDyO2P2 as an isolated structure at a distorted geometry. The level of theory is ωB97M-V/def2-TZVPD.

Results
Energy above the lowest of the compared OMol25 structures with the same formula, charge and spin ... 0.0 kJ/mol
LUMO energy (alpha / beta) ... -0.1216 / -0.1184 Eh
Largest force on an atom ... 0.035 hartree/bohr
Total charge ... +1
Highest occupied orbital energy (alpha / beta) ... -11.0 / -11.0 eV
Energy ... -3348.37253 a.u.
⟨S²⟩ ... 9.36
Gap between HOMO and LUMO (alpha / beta) ... 0.2834 / 0.2870 Eh
2S+1 ... 6

```
81
Properties=species:S:1:pos:R:3:forces:R:3
Dy 0.402178 -0.069596 -0.037354 -0.52 1.41 0.61
C -1.570813 -0.823950 1.613004 1.01 -0.66 -0.11
C -1.195257 -1.942900 0.795587 0.71 0.16 0.59
C 0.647431 -1.342999 2.076301 -1.37 -0.15 -0.09
C -0.442323 -0.459644 2.412586 0.30 -1.23 -0.56
C 0.178092 -2.270291 1.077893 -0.99 0.91 0.64
C -2.948826 -0.281836 1.764248 -0.41 0.28 -0.09
H -3.501436 -0.336458 0.819621 -0.02 0.03 0.17
H -2.919653 0.766726 2.074229 -0.12 -0.11 -0.02
H -3.535489 -0.833136 2.519479 0.29 0.14 -0.26
C -0.440991 0.510103 3.538555 0.18 0.50 0.27
H -1.289381 1.201452 3.466285 0.21 -0.13 0.11
H 0.476971 1.111936 3.532567 -0.17 -0.06 0.10
H -0.496187 -0.002553 4.517088 -0.02 0.15 -0.44
C 1.981242 -1.361233 2.731564 0.50 0.16 0.28
H 1.941024 -1.963079 3.657866 0.14 0.21 -0.37
H 2.312672 -0.345361 3.006969 -0.09 -0.37 -0.04
H 2.741125 -1.794802 2.066232 -0.07 0.05 0.30
C 0.989514 -3.335745 0.427158 0.07 -0.34 -0.06
H 0.941045 -4.255986 1.027574 0.15 0.13 -0.26
H 2.042604 -3.042689 0.347410 -0.05 -0.18 0.01
H 0.621593 -3.569960 -0.579185 0.06 -0.07 0.17
C -2.101171 -2.698571 -0.118378 -0.28 -0.30 -0.33
H -2.423245 -3.661129 0.326435 0.15 0.46 -0.21
H -1.599318 -2.931108 -1.071050 -0.24 -0.06 0.19
H -3.008409 -2.119512 -0.348983 0.27 -0.26 0.06
C -0.672096 2.294672 -1.594448 -0.27 -0.50 0.34
C -1.744489 1.474694 -1.481666 0.56 0.48 0.21
C -2.172775 0.422567 -2.460434 -0.19 -0.73 -0.13
C -1.097312 -0.264916 -3.339200 -0.43 0.04 -0.25
C 0.149530 -0.815154 -2.685175 1.16 0.30 -0.38
C 1.322947 -0.118320 -2.535953 -1.28 -0.79 -0.42
C 1.523044 1.350926 -2.781688 0.10 0.78 0.19
C 0.299182 2.321872 -2.750285 0.41 0.70 -0.54
H -2.897883 0.820930 -3.195459 0.10 0.08 0.52
H -0.841652 0.416560 -4.178944 0.11 -0.69 0.78
H -2.722306 -0.342342 -1.884492 0.10 0.19 -0.25
H -0.210034 2.266148 -3.733887 0.07 -0.01 0.75
H -0.504843 3.066628 -0.824406 -0.16 -0.55 -0.28
H -2.415528 1.597910 -0.620009 0.25 0.12 -0.29
H 0.761645 3.329846 -2.714108 -0.22 -0.50 -0.17
H 2.274173 1.707763 -2.051632 -0.23 -0.14 -0.26
H 2.221746 -0.636979 -2.162846 -0.32 -0.01 -0.22
H 1.976146 1.532164 -3.776125 -0.01 -0.44 0.38
H -1.616848 -1.116718 -3.810208 0.24 0.23 0.11
H 0.139905 -1.905827 -2.480733 0.19 0.64 0.03
P -0.254485 1.371643 -6.203780 0.31 0.86 -1.54
C -0.353620 3.201566 -6.391700 -0.27 0.04 0.21
'''

Job:
Now say how many lines of the material further above hold the word "pos", as a bare number.

Solution:
2